The Economist’s “Johnson” language blog has an interview with linguist K. David Harrison (see this LH post from last year), in which he has interesting things to say about languages and their preservation; here’s one snippet:
In indigenous cultures we observe the decline of languages and lifeways occurring in parallel. There’s an astonishing book called “Watching Ice and Weather Our Way,” co-authored by Yupik elders and scientists. In it, the Yupik elders describe, define and draw sketches of 99 distinct types of sea ice formations which their language gives specific names to.
Their climate science astounds with its precision, predictive power, and depth of observation. Modern climate scientists have much to learn from it. As the Arctic ice melts, and new technologies like snowmobiles advance, Yupik ice-watching becomes the passion of the elderly few. Their knowledge of ice, their words for it, and the hunting skills and lifeways are all receding in tandem with the Yupik language itself.
### Inserted here: quantum chemistry results
/*
C5H14N2O | ωB97M-V with the def2-TZVPD basis set

Each line ends with the Mulliken charge.
CARTESIAN COORDINATES (ANGSTROEM)
1 C -0.018 -0.447 -0.513  0.671
2 C 0.162 -0.684 2.059  -0.756
3 C 1.287 0.226 -0.794  -1.471
4 C -1.431 0.455 -2.540  -0.998
5 C 0.938 0.473 2.569  -0.698
6 N -1.096 0.115 -0.024  -0.477
7 N -0.096 -1.790 -0.788  -0.397
8 O -0.913 1.468 0.275  -0.394
9 H -1.796 1.730 0.559  0.387
10 H 0.468 -2.097 -1.565  0.240
11 H -1.038 -2.155 -0.809  0.262
12 H -0.862 -0.804 2.387  0.315
13 H 0.672 -1.600 1.796  0.422
14 H 1.282 1.249 -0.432  0.374
15 H 2.094 -0.327 -0.312  0.364
16 H 1.456 0.236 -1.873  0.424
17 H -0.851 -0.089 -3.276  0.366
18 H -2.460 0.145 -2.418  0.331
19 H -1.230 1.514 -2.448  0.301
20 H 1.965 0.474 2.198  0.217
21 H 0.993 0.484 3.670  0.316
22 H 0.476 1.423 2.280  0.201

Energy above the lowest of the compared OMol25 structures with the same formula, charge and spin ... 167.04 kcal per mole
Total charge ... 0
Multiplicity ... 1
HOMO (spin up / spin down) ... -6.77 / -7.51 eV
Frontier orbital gap (spin up / spin down) ... 7.586 / 8.434 eV

C15H18ClF3N2O4Ta | ωB97M-V with the def2-TZVPD basis set

Each line ends with the Mulliken charge.
CARTESIAN COORDINATES (ANGSTROEM)
1 Ta -0.078 -0.019 0.584  2.170
2 N 1.672 1.430 0.060  -0.695
3 C 2.815 1.238 0.964  -0.540
4 C 3.000 -0.252 1.206  0.389
5 O 4.100 -0.692 1.550  -0.782
6 N 1.876 -0.943 1.008  0.011
7 C 1.953 -2.372 1.166  -0.447
8 C 0.575 -2.944 0.909  0.381
9 O 0.341 -4.129 0.938  -0.708
10 O -0.335 -2.019 0.653  -0.858
11 H 1.948 1.195 -0.889  0.334
12 H 1.333 2.386 0.058  0.265
13 H 2.581 1.695 1.927  0.142
14 H 3.743 1.665 0.580  0.400
15 H 2.279 -2.665 2.169  0.306
16 H 2.660 -2.830 0.468  0.302
17 F -3.115 0.842 0.377  -0.265
18 C -2.380 -0.318 0.580  -0.104
19 F -2.853 -0.789 1.784  -0.300
20 F -2.922 -1.195 -0.330  -0.248
21 C -0.133 3.389 2.040  -0.910
22 O -0.821 2.230 1.623  -0.224
23 C -0.356 1.009 2.223  0.591
24 C -0.529 0.906 3.700  -1.475
25 H -0.410 4.203 1.369  0.229
26 H 0.956 3.251 2.018  0.314
27 H -0.412 3.664 3.061  0.290
28 H 0.101 1.610 4.259  0.355
29 H -0.265 -0.099 4.029  0.407
30 H -1.573 1.085 3.985  0.307
31 Cl 1.655 -0.951 -2.392  -0.243
32 C 0.009 -1.037 -2.988  1.130
33 C -0.274 -2.003 -3.940  -0.741
34 C -1.565 -2.122 -4.423  -0.361
35 C -2.549 -1.268 -3.942  -0.810
36 C -2.240 -0.309 -2.994  -0.469
37 C -0.948 -0.159 -2.479  0.422
38 C -0.631 0.868 -1.448  -2.215
39 H 0.516 -2.659 -4.281  0.394
40 H -1.802 -2.880 -5.157  0.355
41 H -3.567 -1.357 -4.300  0.349
42 H -3.018 0.336 -2.605  0.365
43 H -1.506 1.498 -1.282  0.484
44 H 0.167 1.511 -1.838  0.703

Energy above the lowest of the compared OMol25 structures with the same formula, charge and spin ... 0.15 kcal per mole
Total charge ... -1
Multiplicity ... 1
HOMO ... -4.06 eV
Frontier orbital gap ... 6.609 eV

C6H10N2 | ωB97M-V with the def2-TZVPD basis set

Each line ends with the Mulliken charge.
CARTESIAN COORDINATES (ANGSTROEM)
1 C -2.568 -0.397 -0.302  -0.332
*/
Thanks, Kári!
It’s worth noting that there are 99 different words for ‘ice’ in Yupik.
Aha, so the old “x eskimo words for snow” myth is not a myth after all? That is, if you substitute “sea ice” for snow?
Fienup-Riordan & Rearden (2008/9) list 70+ Nelson Island Yup’ik ice terms, while Oozeva & al. (2004) list 100+ for St Lawrence Island Yup’ik.
(See SIKU: Knowing Our Ice. Documenting Inuit Sea Ice Knowledge and Use, Krupnik & al., 2010).
Hat, I wonder what you think of the comments below that article – the articulate comments, I mean, which express proper skepticism at the arguments for preservationism given by Harrison.
Even if an indigenous community manages to keep its language while opening itself up to global culture, that language will of necessity assimilate to global culture in any case, leading to a Tofa language that is unrecognizable to past generations and easily translatable into English or Russian.
Words for ice are useful when you live around ice, but (as another commenter there put it) they lose applicability when you sit at home and check your email.
What is the argument for preservation, then? I’m definitely a supporter of minority languages, since I’m raising my kids in Yiddish. I think it’s an esthetic argument, Wittgensteinian maybe. No matter how much you translate, there is something untranslatable. Even when your language tends to merge into the rest of the global soup (“5 megapixel camera” turns out to be “5 megapixel camera” in Yiddish too, and I imagine in Matukar as well), there are chunks of language which stay in the stew even when the rest of it has globalized. That’s what makes a minority language a minority language: it hasn’t all assimilated as yet – so it’s tastier.
But it’s not because something specific is lost from the cast of human thought when a particular species of direction verb goes the way of the dodo. It’s that the preservation of the whole has valuable because that whole – by reason of its very existence – has value.
Hat, I wonder what you think of the comments below that article – the articulate comments, I mean, which express proper skepticism at the arguments for preservationism given by Harrison.
I find them tedious. I understand the arguments against preservationism (they frequently show up in comment threads here), they’re all the same, and I don’t agree with them.
“that whole – by reason of its very existence – has value”: do you really mean that anything that exists thereby has value? Goodness me.
I’d be interested to read more about that. From the Economist and elsewhere, it sounds as if Tofa hasn’t got the usual setup where the “words” turn out to be lengthy agglutinative constructs, but actually has a lot of distinct words in the not-many-morphemes sense.
“that whole – by reason of its very existence – has value”: do you really mean that anything that exists thereby has value? Goodness me.
That whole, not anything at all.
The word which Harrison transcribes as ‘chary’ and translates as ‘four year old male uncastrated domesticated reindeer’, is чары /tʃarɯ/, meaning ‘male domesticated (riding or pack) reindeer’ (or ‘sire’, in эътэр чары), as opposed to иби /ibi/ (or һойлуға), meaning just ‘domesticated reindeer’ – so, male or uncastrated, but nothing about age to my knowledge, but then I’m not really up to scratch with тоъфа дыл. There are, however, also the words for a two-year old reindeer (даспан) and for a wild reindeer (ақ-аң).
Man, it’s great to be able to get a response from someone who is actually familiar with this obscure language. Thanks, aqilluqqaaq!
Yes, aqilluqqaaq!
Are you able to give phonemic transcriptions of the other words? I can guess regular Russian but here I can’t identify all the letters or what they represent.
m.l.: As I say, South Siberian Turkic languages aren’t really my thing, but it’s my understanding:
ақ-аң /aq-aŋ/ ‘wild reindeer’
даспан /daspan/ ‘two-year old reindeer’; cf. дас /das/, тас /tas/ ‘two-year old elk’
иби /ibi/ ‘domesticated reindeer’
тоъфа дыл /tòfa dɯl/ ‘Tofa language’
һойлуға /hojluɣa/ ‘domesticated reindeer’
чары /tʃarɯ/ ‘male domesticated reindeer’
эътэр чары /èter tʃarɯ/ ‘reindeer sire’
The grave accent for –ъ- signifies a low/falling tone.
@aqilluqqaaq: brilliant. Thanks also!
Fascinating! Out of curiosity, what is it about a two-year-old reindeer which merits a special term?
There’s also an English word for a stag in its second year – brocket. It’s the age at which it gets its first, single horns.
aqilluqqaaq, thank you for the transcriptions!
Are the vowels with low/falling tones short, or somewhat diphthongized (= does the znak mean an extra mora)?
I suppose there are corresponding words for various types and ages of female reindeer.
m.-l.: The sequence of Tofa vowels subject to what is typically called ‘pharyngealization’ (signifying constriction, and so named after a series of constricted Even vowels), or, sometimes, ‘glottalization’ (signifying creaky voice) Harrison accounts for exclusively in terms of pitch as a minimally contrastive feature: short / low pitch / long (at least in Tuvan, though he cites ‘the closely-related Tofa’). His dissertation (Topics in the Phonology and Morphology of Tuvan) deals with this at some length. Duration of low-pitch vowels, if I remember correctly, varies according to whether it occurs in mono- or poly-syllables and by phrasal context.
As for related terms for female reindeer – almost certainly, though I’d have to check to be absolutely sure. What I am sure of is that another language (that I know far better), also used by reindeer-herding communities, has terms comprehensively distinguishing deer by sex, age, colour, antler-shape, ear-markings, and place in the herd or team. In that language there’s quite a range of basic terms, but also a fair amount of affixation extending the range too. For example, the word ӈачгытаӈаԓпын /ŋaçɣətaŋaɬpən/ means ‘reindeer with a mark on its left ear which resembles a gun-sight’.
Петр Омрынто has some fun with this kind of thing.
Thank you for the explanation of the vowels. Isn’t it Tuvan culture that is famous for its “throat singers” (a custom also found among the Inuit)? It seems that it would fit in with the extensive use of pharyngealization in the language.
What would this other language be, also spoken by reindeer herders? I am interested (from a distance) in the Chukotka languages (Chukchi, Koryak, etc).